Entries.
____________
Density functional theory data (ωB97M-V with the def2-TZVPD basis set) for a structure of composition C37H28AuN2P2S2.

Structure (XYZ):
```
72
Properties=species:S:1:pos:R:3
Au 1.303 0.560 -0.506
S -0.199 1.528 -2.075
P -1.589 0.602 -0.862
C -0.464 -0.349 -0.033
P -0.032 -1.356 1.261
S 1.940 -0.785 1.364
C -0.199 -3.117 0.926
C 0.800 -4.022 1.258
C 0.616 -5.374 1.006
C -0.559 -5.818 0.419
C -1.555 -4.911 0.074
C -1.376 -3.562 0.323
C -0.917 -1.070 2.804
C -2.312 -1.089 2.784
C -3.024 -0.882 3.952
C -2.346 -0.659 5.145
C -0.960 -0.641 5.167
C -0.242 -0.845 3.997
C -2.841 -0.354 -1.725
C -4.083 -0.584 -1.134
C -4.977 -1.462 -1.728
C -4.639 -2.098 -2.915
C -3.404 -1.866 -3.507
C -2.501 -1.003 -2.910
C -2.483 1.854 0.078
C -3.564 2.533 -0.481
C -4.201 3.528 0.241
C -3.763 3.847 1.521
C -2.684 3.176 2.078
C -2.041 2.182 1.356
H 1.724 -3.673 1.702
H 1.394 -6.080 1.265
H -0.699 -6.872 0.222
H -2.466 -5.255 -0.397
H -2.145 -2.858 0.022
H -2.848 -1.257 1.855
H -4.105 -0.892 3.935
H -2.902 -0.499 6.059
H -0.434 -0.464 6.096
H 0.841 -0.814 4.012
H -4.358 -0.072 -0.219
H -5.941 -1.640 -1.271
H -5.344 -2.771 -3.385
H -3.146 -2.362 -4.434
H -1.529 -0.830 -3.357
H -3.912 2.286 -1.477
H -5.041 4.054 -0.192
H -4.266 4.622 2.084
H -2.345 3.423 3.075
H -1.197 1.654 1.784
C 3.537 4.422 0.596
C 2.644 3.354 0.456
N 2.883 2.323 -0.329
C 4.030 2.289 -1.033
C 4.985 3.311 -0.960
C 4.709 4.398 -0.114
C 6.190 3.217 -1.736
C 6.415 2.156 -2.538
C 5.454 1.094 -2.638
C 5.639 -0.031 -3.460
C 4.675 -1.004 -3.500
C 3.525 -0.846 -2.714
N 3.330 0.198 -1.939
C 4.269 1.156 -1.893
H 3.290 5.242 1.255
H 1.706 3.341 0.998
H 5.426 5.206 -0.033
H 6.914 4.019 -1.661
H 7.323 2.086 -3.123
H 6.542 -0.116 -4.052
H 4.784 -1.883 -4.119
H 2.743 -1.597 -2.720
```

Lowest unoccupied orbital energy (eV): -3.14
HOMO-LUMO gap (eV): 7.16
Energy (eV): -85740.693
Charge: +1
E_HOMO (eV): -10.30

---

Density functional theory data (ωB97M-V with the def2-TZVPD basis set) for a structure of composition C37H29ClN4O8PPd at a distorted geometry.

Structure (XYZ):
```
81
Properties=species:S:1:pos:R:3
Pd 0.689 1.028 0.001
O -6.109 -0.615 -0.105
C -5.710 0.720 -0.271
C -4.213 0.804 -0.279
C -3.559 1.954 -0.712
C -2.176 1.963 -0.726
N -1.452 0.927 -0.327
C -2.055 -0.177 0.136
C -3.443 -0.269 0.151
C -1.170 -1.223 0.672
C -1.617 -2.454 1.140
C -0.725 -3.330 1.747
C -1.242 -4.648 2.265
O -2.380 -5.102 1.589
C 0.605 -2.942 1.874
C 0.988 -1.723 1.343
N 0.129 -0.905 0.758
H -7.070 -0.659 -0.060
H -6.081 1.354 0.550
H -6.101 1.142 -1.208
H -4.116 2.814 -1.047
H -1.624 2.832 -1.075
H -3.954 -1.155 0.484
H -2.647 -2.762 1.064
H -1.562 -4.508 3.304
H -0.441 -5.399 2.255
H -2.150 -5.353 0.688
H 1.331 -3.573 2.361
H 2.022 -1.390 1.386
Cl 3.117 1.256 0.028
C 3.772 0.921 -1.542
C 5.148 0.972 -1.709
C 5.696 0.683 -2.947
C 4.876 0.344 -4.011
C 3.504 0.310 -3.844
C 2.929 0.599 -2.608
P 1.110 0.538 -2.383
C 0.495 0.724 -4.101
C 0.300 -0.379 -4.930
C -0.149 -0.203 -6.225
C -0.391 1.070 -6.714
C -0.194 2.172 -5.898
C 0.233 2.002 -4.591
C 0.852 -1.260 -2.160
C -0.462 -1.720 -2.233
C -0.746 -3.059 -2.066
C 0.280 -3.955 -1.808
C 1.587 -3.505 -1.732
C 1.878 -2.162 -1.904
H 5.784 1.234 -0.878
H 6.766 0.721 -3.079
H 5.303 0.106 -4.973
H 2.865 0.053 -4.674
H 0.504 -1.377 -4.570
H -0.304 -1.069 -6.852
H -0.728 1.197 -7.732
H -0.379 3.163 -6.286
H 0.372 2.865 -3.952
H -1.253 -1.020 -2.463
H -1.766 -3.403 -2.137
H 0.065 -5.005 -1.694
H 2.390 -4.201 -1.548
H 2.904 -1.824 -1.873
O -0.880 1.086 2.392
C 0.136 1.701 2.711
O 1.075 1.987 1.911
C 0.339 2.141 4.149
C 1.567 2.644 4.561
C 1.742 3.050 5.877
C 0.708 2.976 6.800
C -0.509 2.462 6.374
C -0.703 2.038 5.065
N -1.614 2.369 7.322
O -2.672 1.971 6.896
O -1.390 2.695 8.462
N 3.041 3.565 6.287
O 3.922 3.545 5.459
O 3.142 3.969 7.419
H 2.389 2.721 3.863
H 0.844 3.309 7.820
H -1.657 1.632 4.761
```

2S+1: 3
Lowest unoccupied orbital energy (alpha / beta) (eV): -3.26 / -4.45
HOMO-LUMO gap (alpha / beta) (eV): 7.80 / 7.31
Energy (eV): -86460.566
Charge: +1
____________

To do.
What is needed: transcribe all of the contents further up character by character.

Outcome.
Density functional theory data (ωB97M-V with the def2-TZVPD basis set) for a structure of composition C37H28AuN2P2S2.

Structure (XYZ):
```
72
Properties=species:S:1:pos:R:3
Au 1.303 0.560 -0.506
S -0.199 1.528 -2.075
P -1.589 0.602 -0.862
C -0.464 -0.349 -0.033
P -0.032 -1.356 1.261
S 1.940 -0.785 1.364
C -0.199 -3.117 0.926
C 0.800 -4.022 1.258
C 0.616 -5.374 1.006
C -0.559 -5.818 0.419
C -1.555 -4.911 0.074
C -1.376 -3.562 0.323
C -0.917 -1.070 2.804
C -2.312 -1.089 2.784
C -3.024 -0.882 3.952
C -2.346 -0.659 5.145
C -0.960 -0.641 5.167
C -0.242 -0.845 3.997
C -2.841 -0.354 -1.725
C -4.083 -0.584 -1.134
C -4.977 -1.462 -1.728
C -4.639 -2.098 -2.915
C -3.404 -1.866 -3.507
C -2.501 -1.003 -2.910
C -2.483 1.854 0.078
C -3.564 2.533 -0.481
C -4.201 3.528 0.241
C -3.763 3.847 1.521
C -2.684 3.176 2.078
C -2.041 2.182 1.356
H 1.724 -3.673 1.702
H 1.394 -6.080 1.265
H -0.699 -6.872 0.222
H -2.466 -5.255 -0.397
H -2.145 -2.858 0.022
H -2.848 -1.257 1.855
H -4.105 -0.892 3.935
H -2.902 -0.499 6.059
H -0.434 -0.464 6.096
H 0.841 -0.814 4.012
H -4.358 -0.072 -0.219
H -5.941 -1.640 -1.271
H -5.344 -2.771 -3.385
H -3.146 -2.362 -4.434
H -1.529 -0.830 -3.357
H -3.912 2.286 -1.477
H -5.041 4.054 -0.192
H -4.266 4.622 2.084
H -2.345 3.423 3.075
H -1.197 1.654 1.784
C 3.537 4.422 0.596
C 2.644 3.354 0.456
N 2.883 2.323 -0.329
C 4.030 2.289 -1.033
C 4.985 3.311 -0.960
C 4.709 4.398 -0.114
C 6.190 3.217 -1.736
C 6.415 2.156 -2.538
C 5.454 1.094 -2.638
C 5.639 -0.031 -3.460
C 4.675 -1.004 -3.500
C 3.525 -0.846 -2.714
N 3.330 0.198 -1.939
C 4.269 1.156 -1.893
H 3.290 5.242 1.255
H 1.706 3.341 0.998
H 5.426 5.206 -0.033
H 6.914 4.019 -1.661
H 7.323 2.086 -3.123
H 6.542 -0.116 -4.052
H 4.784 -1.883 -4.119
H 2.743 -1.597 -2.720
```

Lowest unoccupied orbital energy (eV): -3.14
HOMO-LUMO gap (eV): 7.16
Energy (eV): -85740.693
Charge: +1
E_HOMO (eV): -10.30

---

Density functional theory data (ωB97M-V with the def2-TZVPD basis set) for a structure of composition C37H29ClN4O8PPd at a distorted geometry.

Structure (XYZ):
```
81
Properties=species:S:1:pos:R:3
Pd 0.689 1.028 0.001
O -6.109 -0.615 -0.105
C -5.710 0.720 -0.271
C -4.213 0.804 -0.279
C -3.559 1.954 -0.712
C -2.176 1.963 -0.726
N -1.452 0.927 -0.327
C -2.055 -0.177 0.136
C -3.443 -0.269 0.151
C -1.170 -1.223 0.672
C -1.617 -2.454 1.140
C -0.725 -3.330 1.747
C -1.242 -4.648 2.265
O -2.380 -5.102 1.589
C 0.605 -2.942 1.874
C 0.988 -1.723 1.343
N 0.129 -0.905 0.758
H -7.070 -0.659 -0.060
H -6.081 1.354 0.550
H -6.101 1.142 -1.208
H -4.116 2.814 -1.047
H -1.624 2.832 -1.075
H -3.954 -1.155 0.484
H -2.647 -2.762 1.064
H -1.562 -4.508 3.304
H -0.441 -5.399 2.255
H -2.150 -5.353 0.688
H 1.331 -3.573 2.361
H 2.022 -1.390 1.386
Cl 3.117 1.256 0.028
C 3.772 0.921 -1.542
C 5.148 0.972 -1.709
C 5.696 0.683 -2.947
C 4.876 0.344 -4.011
C 3.504 0.310 -3.844
C 2.929 0.599 -2.608
P 1.110 0.538 -2.383
C 0.495 0.724 -4.101
C 0.300 -0.379 -4.930
C -0.149 -0.203 -6.225
C -0.391 1.070 -6.714
C -0.194 2.172 -5.898
C 0.233 2.002 -4.591
C 0.852 -1.260 -2.160
C -0.462 -1.720 -2.233
C -0.746 -3.059 -2.066
C 0.280 -3.955 -1.808
C 1.587 -3.505 -1.732
C 1.878 -2.162 -1.904
H 5.784 1.234 -0.878
H 6.766 0.721 -3.079
H 5.303 0.106 -4.973
H 2.865 0.053 -4.674
H 0.504 -1.377 -4.570
H -0.304 -1.069 -6.852
H -0.728 1.197 -7.732
H -0.379 3.163 -6.286
H 0.372 2.865 -3.952
H -1.253 -1.020 -2.463
H -1.766 -3.403 -2.137
H 0.065 -5.005 -1.694
H 2.390 -4.201 -1.548
H 2.904 -1.824 -1.873
O -0.880 1.086 2.392
C 0.136 1.701 2.711
O 1.075 1.987 1.911
C 0.339 2.141 4.149
C 1.567 2.644 4.561
C 1.742 3.050 5.877
C 0.708 2.976 6.800
C -0.509 2.462 6.374
C -0.703 2.038 5.065
N -1.614 2.369 7.322
O -2.672 1.971 6.896
O -1.390 2.695 8.462
N 3.041 3.565 6.287
O 3.922 3.545 5.459
O 3.142 3.969 7.419
H 2.389 2.721 3.863
H 0.844 3.309 7.820
H -1.657 1.632 4.761
```

2S+1: 3
Lowest unoccupied orbital energy (alpha / beta) (eV): -3.26 / -4.45
HOMO-LUMO gap (alpha / beta) (eV): 7.80 / 7.31
Energy (eV): -86460.566
Charge: +1